Given.
┌──
For Y8Ho4Er3, a PBE-relaxed structure gives the calculated powder XRD pattern in this record (λ = 1.5418 Å (Cu Kα)).

```
15
Lattice="3.463 1.999 11.707 -3.463 1.999 11.707 0.000 -3.998 11.707" Properties=species:S:1:pos:R:3 pbc="T T T"
Y 0.000 0.000 8.601
Y -1.738 -1.004 20.481
Y 0.000 -2.007 14.639
Y -1.738 1.004 14.639
Y 1.738 -1.004 20.481
Y 0.000 2.007 20.481
Y 1.738 1.004 14.639
Y 0.000 0.000 26.519
Ho 0.000 0.000 0.000
Ho 0.000 0.000 11.799
Ho 0.000 0.000 17.560
Ho 0.000 0.000 23.321
Er -3.462 0.000 17.560
Er -1.731 1.000 5.853
Er 1.731 1.000 5.853
```

The 10 most intense peaks (15° ≤ 2θ ≤ 90°), by angle:
- 26.85 deg, intensity 361
- 29.95 deg, intensity 553
- 30.55 deg, intensity 667
- 31.53 deg, intensity 1000
- 34.63 deg, intensity 240
- 34.86 deg, intensity 221
- 36.28 deg, intensity 736
- 51.60 deg, intensity 221
- 52.88 deg, intensity 433
- 62.31 deg, intensity 515

----------

# SmDyNiPt
Theoretical powder diffraction line list, Cu Ka. Input: a DFT-relaxed cell (GGA-PBE, Alexandria).

Main lines, in order of rising 2θ (2θ = 10–90°):
Position (°2θ)  I_rel  h k l
32.0  100  1 1 1
34.7  23  0 0 4
34.9  31  0 1 3
40.5  24  1 0 4
40.6  62  1 1 3
41.1  29  2 0 0
47.0  20  0 2 0
55.0  17  2 1 3

Structural model:
```
data_SmDyNiPt
_cell_length_a 4.3877
_cell_length_b 3.8686
_cell_length_c 10.3425
_cell_angle_alpha 90.00
_cell_angle_beta 90.00
_cell_angle_gamma 90.00
_symmetry_space_group_name_H-M 'P 1'
_symmetry_Int_Tables_number 1
loop_
_symmetry_equiv_pos_as_xyz
'x,y,z'
loop_
_atom_site_label
_atom_site_fract_x
_atom_site_fract_y
_atom_site_fract_z
Sm1 0.0000 0.0000 0.0000
Sm2 0.0000 0.5000 0.5000
Dy1 0.5000 0.0000 0.7201
Dy2 0.5000 0.5000 0.2201
Ni1 0.0000 0.0000 0.2781
Ni2 0.0000 0.5000 0.7781
Pt1 0.5000 0.0000 0.4344
Pt2 0.5000 0.5000 0.9344
```

# NdDy2Hg2
Theoretical powder diffraction line list, Cu Ka. Input: a DFT-relaxed cell (GGA-PBE, Alexandria).

Main lines, in order of rising 2θ (2θ = 10–90°):
Position (°2θ)  I_rel  h k l
19.6  24  1 0 0
24.1  18  0 1 1
34.3  98  1 1 0
34.4  100  0 1 2
49.3  37  2 0 2
61.4  57  3 0 0
61.7  19  1 0 4
82.5  17  3 1 2

Structural model:
```
data_NdDy2Hg2
_cell_length_a 5.2322
_cell_length_b 5.2322
_cell_length_c 6.3766
_cell_angle_alpha 90.00
_cell_angle_beta 90.00
_cell_angle_gamma 120.00
_symmetry_space_group_name_H-M 'P 1'
_symmetry_Int_Tables_number 1
loop_
_symmetry_equiv_pos_as_xyz
'x,y,z'
loop_
_atom_site_label
_atom_site_fract_x
_atom_site_fract_y
_atom_site_fract_z
Nd1 0.0000 0.0000 0.0000
Dy1 0.3333 0.6667 0.6586
Dy2 0.6667 0.3333 0.3414
Hg1 0.3333 0.6667 0.1801
Hg2 0.6667 0.3333 0.8199
```

# BaTh4Tl5
Theoretical powder diffraction line list, Cu Ka. Input: a DFT-relaxed cell (GGA-PBE, Alexandria).

Main lines, in order of rising 2θ (2θ = 10–90°):
Position (°2θ)  I_rel  h k l
30.2  82  1 1 0
32.8  100  1 0 5
36.9  23  1 0 6
43.3  31  2 0 0
55.3  49  2 1 5
58.1  13  2 1 6
71.3  15  3 1 0
88.6  15  3 2 5

Structural model:
```
data_BaTh4Tl5
_cell_length_a 4.1826
_cell_length_b 4.1826
_cell_length_c 18.0099
_cell_angle_alpha 90.00
_cell_angle_beta 90.00
_cell_angle_gamma 90.00
_symmetry_space_group_name_H-M 'P 1'
_symmetry_Int_Tables_number 1
loop_
_symmetry_equiv_pos_as_xyz
'x,y,z'
loop_
_atom_site_label
_atom_site_fract_x
_atom_site_fract_y
_atom_site_fract_z
Ba1 0.0000 0.0000 0.0000
Th1 0.0000 0.0000 0.2221
Th2 0.0000 0.0000 0.4070
Th3 0.0000 0.0000 0.5930
Th4 0.0000 0.0000 0.7779
Tl1 0.5000 0.5000 0.1249
Tl2 0.5000 0.5000 0.3130
Tl3 0.5000 0.5000 0.5000
Tl4 0.5000 0.5000 0.6870
Tl5 0.5000 0.5000 0.8751
```

What did the third record say?
# BaTh4Tl5
Theoretical powder diffraction line list, Cu Ka. Input: a DFT-relaxed cell (GGA-PBE, Alexandria).

Main lines, in order of rising 2θ (2θ = 10–90°):
Position (°2θ)  I_rel  h k l
30.2  82  1 1 0
32.8  100  1 0 5
36.9  23  1 0 6
43.3  31  2 0 0
55.3  49  2 1 5
58.1  13  2 1 6
71.3  15  3 1 0
88.6  15  3 2 5

Structural model:
```
data_BaTh4Tl5
_cell_length_a 4.1826
_cell_length_b 4.1826
_cell_length_c 18.0099
└──

Job.
What is needed: filter the calculation results further above: keep the lines with the word "Ho".

Worked solution.
Ho 0.000 0.000 0.000
Ho 0.000 0.000 11.799
Ho 0.000 0.000 17.560
Ho 0.000 0.000 23.321